Should identify the factors that causes men to dismiss your offer to watch a movie with the words "Oh, no! This, again, your snot with sugar! "- Is the name of this movie. Typically, directors and film distributors, transform names of pictures, try to put them in a maximum audience expectations. For movie titles with female content characteristic of pathos, hidden philosophical subtext, perceptible only female logic, vanilla, some woman's name, and even better for women's social status (mother of the bride, geisha, woman, finally!) And something about love. Ideally, the name by which you can with 100% certainty to determine that female movie should look like this: "Dried flowers suffering and love Entries whore Mary". Oh, and movies in whose names appear in one way or another the word "blog", somehow enjoyed wild popularity in the female half of the population. Just do not feed bread, and give insight into the secret page vampires, desperate housewives and again somehow whores. Black women dushonki secret from public morality require debauchery and dirty details. Although in reality it turns sympathetic and "Pretty Woman" with Julia Roberts.
Having defined the name, continue to explore the object to view carefully. Poster. In the case of female film on it must be present or laughing couple (better if it is holding flowers) or steam in an awkward situation (better if this is foolish man, and it will dominate) or thoughtful, sagacity the girl's life.
You with the poster looks languid Johnny Depp / sad Hugh Grant / carefree Ashton Kutcher / mysterious Robert Pattinson / rose curb Ryan Gosling? You with the poster looks inflated chest Jason Statham? Lift up your eyes and make sure that it really Statham. So, in all these cases, the cashier made a film girls.
Further analyze the trailer for the film. As a rule, the trailer - it's cutting the best moments from the movies. If the episodes where the girl in the picture was crying, sad, gossip, revenge, went into hysterics, look ridiculous, and most of them, this romantic comedy. If the beginning of a fun trailer purposefully replaced by grim plans and female hysteria in the picture looks like a real tragedy, down the drain - it's a drama. Tears, sorrow or postprosmotrovaya gloomy reverie this film by the female audience provided.
+++
[1]
Formula: C12H11BrCl2EuO2
Source: the Open Molecules 2025 dataset
Level of theory: ωB97M-V with the def2-TZVPD basis set

```
29
Properties=species:S:1:pos:R:3:forces:R:3:mulliken_charge:R:1
Eu 0.472 0.100 0.627 -1.199 0.317 -0.468 1.03
Br 1.233 -2.007 -0.958 0.315 -0.770 -0.186 -0.66
Cl -0.139 -2.169 5.146 0.181 0.369 0.034 -0.17
Cl 1.553 0.146 5.820 0.007 0.142 0.132 -0.18
O 0.562 -1.501 2.416 1.354 0.454 2.085 -0.60
O 1.610 0.431 2.793 0.164 -1.241 1.650 -0.80
C 1.170 -0.702 3.196 -1.457 0.372 -2.129 0.65
C 0.736 -0.282 -4.314 0.726 0.829 0.117 -0.51
C -2.288 1.284 1.557 0.456 -0.583 -0.289 -0.50
C 0.221 1.046 -4.377 0.634 -0.128 0.179 -0.53
C 1.268 -1.162 4.684 0.412 -0.662 -0.775 0.13
C -2.235 0.918 0.170 -0.241 -0.407 0.248 -0.64
C -2.305 -1.024 1.433 -0.286 0.745 -0.367 -0.46
C 2.050 -0.218 -3.766 -0.537 0.715 -0.408 -0.51
C -2.281 -0.524 0.093 -0.016 0.718 0.748 -0.72
C 1.216 1.929 -3.858 -0.140 -0.556 -0.023 -0.55
C -2.301 0.081 2.331 -0.103 0.212 -0.679 -0.36
C 2.345 1.145 -3.471 -0.713 -0.442 -0.458 -0.65
H -2.313 2.306 1.955 0.087 -0.464 -0.199 0.32
H 3.273 1.519 -3.056 0.016 0.027 0.028 0.40
H 2.117 -1.856 4.725 -0.168 0.355 0.151 0.26
H 1.132 3.013 -3.787 0.003 -0.174 0.020 0.37
H -2.354 0.018 3.422 0.103 0.031 -0.427 0.41
H -2.314 -1.126 -0.816 0.142 0.256 0.300 0.42
H 0.229 -1.185 -4.633 -0.028 0.035 0.081 0.33
H 2.707 -1.064 -3.600 -0.111 0.083 0.122 0.41
H -2.412 -2.069 1.730 0.295 0.313 -0.161 0.31
H -2.202 1.618 -0.683 -0.088 -0.502 0.509 0.44
H -0.751 1.336 -4.778 0.192 -0.045 0.163 0.35
```
Forces are in eV/Å.

Properties
Kohn-Sham gap (spin up / spin down): 4.4 / 4.4 eV
E_HOMO (spin up / spin down): -0.141 / -0.143 eV
LUMO (spin up / spin down): 4.259 / 4.258 eV
net charge: -2
<S²>: 15.760
spin multiplicity: 8

[2]
Formula: C12H11Cl3IrO2
Source: the Open Molecules 2025 dataset
Level of theory: ωB97M-V with the def2-TZVPD basis set

```
29
Properties=species:S:1:pos:R:3:forces:R:3:mulliken_charge:R:1
Ir -0.011 -0.604 -0.475 2.333 0.433 4.784 1.09
Cl -1.956 2.110 3.431 0.113 0.250 -0.028 -0.17
Cl 0.553 3.534 2.656 -0.259 0.064 0.145 -0.18
Cl 0.086 -2.243 1.120 0.344 -1.673 1.510 -0.35
O -0.235 0.979 1.138 0.090 0.209 0.690 -0.64
O 0.958 0.043 2.858 -0.552 0.393 -0.777 -0.63
C -1.330 -0.368 -2.141 -1.493 -0.117 -0.563 -0.53
C 2.062 -1.465 -0.863 1.169 1.286 -0.285 -0.66
C -2.184 -1.463 -0.269 -1.228 -0.214 -1.068 -0.59
C -0.186 2.042 3.285 0.129 -0.452 -0.256 -0.03
C 2.241 -0.408 0.114 1.040 -0.178 -1.528 -0.13
C 1.549 -0.869 -2.065 1.347 0.614 -0.018 -0.51
C -2.283 -0.075 -0.045 -1.240 0.225 -0.665 0.05
C -1.721 0.617 -1.168 -1.869 0.054 -0.829 -0.63
C 0.220 0.876 2.334 0.679 -0.134 0.777 0.47
C 1.909 0.837 -0.516 0.784 -0.526 -0.770 -0.46
C 1.444 0.567 -1.840 1.486 -0.398 -0.039 -0.68
C -1.507 -1.670 -1.533 -2.550 -0.005 -1.089 -0.48
H 1.300 -1.404 -2.971 0.043 0.132 0.080 0.53
H 0.228 1.847 4.278 -0.168 0.115 -0.371 0.33
H 1.977 1.810 -0.057 -0.185 -0.030 0.051 0.39
H 2.258 -2.513 -0.705 -0.090 0.082 0.004 0.47
+++
Now for the required attributes of female pictures. Firstly, it prolonged the scene with the first or last or kiss scene with open arms, from which the inner woman any spectators is pressed into a chair and doing theater "uiii! ". Second, the obsession of the film as a whole on the relationship, exclusively female complexes or female independence and power. Third, the episode where a man - shit, really just on the side of the suffering woman, or a scene where a woman - a fool, and a man in a female mind. Fourth, of course, erotic scenewith inflated breasts StathamWhere the bare torso and playful hands of the hero does not make you roll your eyes in disgust and sneaking a bite her lower lip, while envying the main character.
-- Next to the page, the page also holds molecular data --
{
  "formula": "C31H55BeBrNO3P3",
  "method": "wB97M-V/def2-TZVPD",
  "orbital_gap_ev": [4.878, 4.877],
  "relative_energy_kcal_mol": 0.0,
  "max_force_ev_per_a": 4.4,
  "lumo_ev": [-8.17, -8.17],
  "charge": 2,
  "homo_ev": [-13.045, -13.045],
  "species": ["C", "O", "P", "H", "H", "H", "P", "H", "H", "H", "H", "H", "Br", "H", "O", "H", "H", "H", "H", "C", "C", "C", "H", "C", "P", "C", "H", "H", "H", "H", "H", "C", "H", "H", "H", "C", "H", "C", "H", "C", "C", "H", "H", "C", "H", "C", "H", "H", "H", "H", "C", "C", "H", "H", "H", "C", "C", "H", "H", "H", "H", "H", "C", "H", "H", "C", "H", "C", "C", "H", "Be", "C", "C", "H", "C", "O", "H", "H", "H", "C", "H", "H", "C", "H", "H", "H", "N", "C", "H", "C", "H", "C", "H", "C", "C"],
Of course, you can not pull all women with the same brush. Someone happy to look "Judge Dredd", "Rock", the second Terminator and other krovkishkikomandos. There are films that are really fun to watch for both men and women. Have the same "Hachiko", from which cries like a baby every second brutal man. But there is a woman in the mood when, in the words of Dr. House, she wants to melodrama and ice cream.